== Data ==
********
[1]
# PC2 (GGA-PBE, relaxed)
data_PC2
_chemical_formula_sum 'P2 C4'
_space_group_name_H-M_alt 'P 63/m m c'
_space_group_IT_number 194
_space_group_name_Hall '-P 6c 2c'
_cell_length_a 2.4669
_cell_length_b 2.4669
_cell_length_c 17.3396
_cell_angle_alpha 90.00
_cell_angle_beta 90.00
_cell_angle_gamma 120.00
loop_
_atom_site_label
_atom_site_fract_x
_atom_site_fract_y
_atom_site_fract_z
P1 0.3333 0.6667 0.2500
C1 0.3333 0.6667 0.0000
# ρ, g/cm3: 2.00
# Total energy, eV per atom: -7.610
# N(E_F), states/eV per cell: 2.83

[2]
# PC2 (GGA-PBE, relaxed)
data_PC2
_chemical_formula_sum 'P4 C8'
_space_group_name_H-M_alt 'C 1 2/m 1'
_space_group_IT_number 12
_cell_length_a 7.2018
_cell_length_b 2.8355
_cell_length_c 6.7690
_cell_angle_alpha 90.00
_cell_angle_beta 117.14
_cell_angle_gamma 90.00
loop_
_space_group_symop_operation_xyz
'x,y,z'
'-x,-y,-z'
'-x,y,-z'
'x,-y,z'
'x+1/2,y+1/2,z'
'-x+1/2,-y+1/2,-z'
'-x+1/2,y+1/2,-z'
'x+1/2,-y+1/2,z'
loop_
_atom_site_label
_atom_site_fract_x
_atom_site_fract_y
_atom_site_fract_z
P1 0.1904 0.0000 0.2993
C1 0.0618 0.5000 0.1119
C2 0.1063 0.0000 0.5217
# ρ, g/cm3: 2.97
# Total energy, eV per atom: -7.200
# N(E_F), states/eV per cell: 2.70

~~~~~

Density functional theory data (PBE-GGA) for Na2SrYTc after structural relaxation.

Its volume is 164 Å³/cell. The formation energy comes out at 1.151 eV per atom.

Cell and atoms, written as extended XYZ:
```
5
Lattice="5.595 0.000 0.000 0.000 5.595 0.000 0.000 0.000 5.226" Properties=species:S:1:pos:R:3 pbc="T T T"
Na 0.000 2.798 0.000
Na 2.798 0.000 0.000
Sr 0.000 0.000 2.613
Y 2.798 2.798 2.613
Tc 0.000 0.000 0.000
```


Density functional theory data (PBE-GGA) for Na2SrTe2 after structural relaxation.

Its uncorrected formation energy is -1.140 eV per atom. Its volume is 454 Å³/cell.

Cell and atoms, written as extended XYZ:
```
10
Lattice="8.296 0.000 0.000 0.000 4.791 0.000 -3.782 0.000 11.425" Properties=species:S:1:pos:R:3 pbc="T T T"
Na -1.058 1.198 4.686
Na -2.810 1.198 10.412
Na 7.324 3.594 1.013
Na 5.571 3.594 6.739
********
== Assignment ==
Say how many lines of the rows further above hold the word "P4", as a bare number.
== Done ==
1